✨📬✨ The FOURTH Annual 🔹July PM Challenge🔹: Celebrating Four Years of Fun, Friendship and Fuckery. ✨📬✨

This is a great challenge. I'm totally stressed out by it though. I think I'm good with everyone but now I'm worried that maybe I'm actually not 🤦🏻‍♀️

This is an all too irl issue for me too. Gah stupid brain.
I get it! But it's also a great way to quite those voices. "Are we good?" goes a long way. :)
We're at the halfway mark! Here's all the challenges so far!

== Attached: crystal structures ==
____________
Computed, not measured: an optimized crystal structure of Na8Y3NbSi4P2O24 at the PBE level of DFT.

Values from the calculation:
* SG: P1 (1)
* E_form: -126.62 eV per formula unit

```
Na8Y3NbSi4P2O24
1.0
9.403 0.000 0.000
4.700 8.149 0.000
0.005 0.068 22.916
Na Y Nb Si P O
24 9 3 12 6 72
Cartesian
0.000 0.000 0.000
12.429 5.267 5.611
4.614 7.751 7.458
1.702 2.700 19.003
5.897 5.569 19.059
4.333 2.628 7.464
5.932 4.926 3.769
7.702 7.984 9.321
4.762 2.827 15.209
7.713 7.970 20.980
4.680 2.300 0.054
6.441 5.272 11.191
5.972 0.144 11.264
8.992 5.396 22.787
7.649 2.484 1.903
9.412 5.493 7.445
7.721 2.522 13.265
10.765 7.688 19.065
11.195 8.049 3.703
9.435 4.962 15.270
13.597 8.105 15.209
10.636 2.809 3.774
12.351 5.309 17.122
10.649 2.295 11.264
3.056 5.289 2.170
7.697 8.035 12.874
7.696 7.985 1.393
7.677 2.542 5.261
7.686 2.562 9.662
7.700 2.578 16.697
12.368 5.293 13.723
12.390 5.285 9.005
12.405 5.343 20.523
7.657 8.039 5.997
7.732 8.063 17.538
7.655 2.594 21.212
4.897 7.985 3.662
1.614 2.274 15.163
5.882 5.266 22.721
4.373 2.267 3.663
6.301 5.089 7.481
4.885 2.563 18.906
10.468 8.014 15.160
6.198 0.088 7.487
9.054 5.041 18.910
11.000 7.841 22.725
9.140 0.192 18.927
10.563 2.526 7.479
4.435 2.848 11.352
6.319 5.672 15.201
9.077 5.611 3.711
9.546 5.257 11.348
10.892 2.886 22.732
13.791 7.756 11.349
2.201 3.765 7.609
4.055 6.918 10.108
2.114 3.526 21.485
4.033 6.596 3.743
2.434 3.689 15.229
5.749 8.129 2.300
1.868 1.415 13.824
2.075 1.460 22.836
1.406 0.126 18.839
5.939 7.891 11.369
3.541 3.674 3.738
2.090 1.140 7.272
6.018 7.892 4.936
2.257 1.346 16.460
4.771 5.603 15.190
4.699 5.350 7.612
3.843 3.773 19.113
4.969 5.489 21.408
3.870 3.546 10.107
4.100 3.682 12.618
4.956 4.873 1.122
6.717 6.587 16.427
3.786 1.431 11.374
3.758 1.318 4.933
6.891 6.543 22.813
6.869 6.289 13.911
7.040 6.570 7.262
4.119 1.430 2.307
4.030 1.118 18.833
5.721 2.827 17.570
6.510 4.122 6.205
5.985 2.719 11.300
7.015 4.474 8.825
6.928 4.264 15.290
8.254 6.512 18.827
5.985 2.462 3.769
9.251 8.106 7.263
6.823 3.878 22.509
5.999 2.365 20.169
9.395 8.114 22.796
9.347 7.898 16.458
8.623 6.510 11.384
9.594 8.157 13.816
8.668 6.520 4.926
8.534 6.226 2.413
6.359 1.028 8.823
8.347 4.183 20.180
6.688 1.201 15.224
8.451 4.207 3.815
8.678 3.967 11.297
7.075 1.180 22.509
8.847 4.193 17.567
6.937 0.756 6.215
11.230 6.919 21.417
10.435 5.412 10.106
10.621 5.534 3.698
10.442 5.138 12.614
11.344 6.633 15.234
11.713 7.128 1.132
11.488 6.726 7.611
10.645 5.271 19.087
9.331 2.779 22.565
8.427 1.013 11.300
9.409 2.485 15.235
8.680 1.175 3.761
9.640 2.811 6.188
8.493 0.799 17.591
8.763 1.249 20.189
9.675 2.194 8.813
11.127 3.699 1.064
13.244 7.053 12.622
13.245 6.843 19.084
```


Computed, not measured: an optimized crystal structure of Na4YNb3Si4P2O24 at the PBE level of DFT.

Values from the calculation:
* SG: P1 (1)
* E_form: -114.19 eV per formula unit

```
Na4YNb3Si4P2O24
1.0
9.059 0.000 0.000
-4.506 7.861 0.000
-0.017 -0.031 22.894
Na Y Nb Si P O
12 3 9 12 6 72
Cartesian
0.000 0.000 0.000
____________
== The page goes on ==

Day 1
Let's do ahead and
take the plunge.
2 Litsters who have caught your eye around the neighborhood but who you've never said hello before.

Day 2
PM (at least) 1 Litster who you find sexy and let them know!
They may post the most
erection inducing pictures, they may write words that make you melt, they may just tease just enough, or they may be undercover, casual sexy.
Today, without any expectations, just let someone know how sexy you think they are!

Day 3
We're going to be a little nosey today.
PM (at least) 2 Litsters and ask them a question. The question should be specific to the Litster - no "what's your favorite color" BS and should illicit an answer not homework - no "would you send me a pic of your left nipple".
Bonus points for the nosier or more scandalous the questions but remember you are not entitled to an answer.

Day 4
PM 2 Litsters with AVs that you love. One of the Litsters should have an original pic and one of the Litsters should have some kind of artwork.
Ask them about why it
represents them, tell them why you love it, commiserate over how long it takes to get your AV changed now.

Day 5
PM (at least) 1 Litster with
a party invitation. This will require the tiniest bit of imagination but I believe in you. The invitation should include a party theme, what the dress code is, and what the invited Litster should bring to the party any other details get you bonus points.

Day 6
PM (at least) 1 Listers who has created or moderated a thread you love!
Give them the encouragement to keep going that they need, tell them why you love it, boost them up! It's a hard job and some people are working really hard around here.
(This isn't an official moderator appreciation challenge -
that will come later;) )

Day 7
PM (at least) 1 Litster a link to a song that makes you think of them.
Is it romantic, sexy, funny? Send some beats to get them through the day.
Day 8
It's International Litster Day!
To celebrate this very real and famous holiday - PM 2 Litsters from another country than you and say hello and discuss a few international Lit treaties to promote a Lit world peace!
Come back and fly the flags of your diplomacy.

Day 9
Its a sexy Sunday! PM (at least) 1 Litster something sexy just for them.
It can be a picture, an audio, a bit of writing, a confession... let your imagination run wild!
Please use your best judgement.

Day 10
Man Appreciation Monday!
Not to be confused with Man Crush Monday (which is coming) - PM 3 male Litsters that you appreciate and let them know why! Men don't get often get their boxes flooded but lets surprise them with some love.
Men this doesn't mean you don't have to send anything! You need to get out there and appreciate your Lit brothers in charms.

Day 11
Today is about reconnections! PM (at least) 1 Litster and reconnect.
This could be someone that you owe a response to, it could be someone where life got in the way and the conversation faded, or it could be that they didn't pick up a hint you were giving. Today is the day to reconnect.
Bonus points for reaching out to someone who you haven't seen participating and
giving them a gentle nudge.

**The piece is interrupted by crystal structures**
┌──
# 1
Crystalline Li9Mn2Co5O16 at its relaxed geometry, computed with PBE+U.

## Properties
SG	P1 (1)
formation energy	-1.817	eV/atom
offset from the most stable computed form	0.047	eV/atom
E_tot	-185.85	eV/cell

a = 5.9293 Å, b = 6.4356 Å, c = 8.1331 Å
α = 88.95°, β = 89.09°, γ = 66.02°
Positions (direct):
O 0.5373 0.9769 0.2377
O 0.0080 0.0116 0.7610
O 0.7427 0.4889 0.7381
O 0.6520 0.2249 0.9903
O 0.1331 0.2629 0.5120
O 0.7573 0.5161 0.2619
O 0.2065 0.5262 0.2644
O 0.3632 0.7327 0.5005
O 0.6349 0.2616 0.5102
O 0.5125 0.0127 0.7595
O 0.9887 0.9887 0.2363
O 0.8567 0.7436 0.4854
O 0.3480 0.7801 0.9982
O 0.1143 0.2427 0.9908
O 0.2468 0.4828 0.7412
O 0.8937 0.7527 0.0101
Li 0.6317 0.2475 0.2568
Li 0.2448 0.5099 0.0050
Li 0.1169 0.2554 0.2574
Li 0.0091 0.9935 0.4963
Li 0.3739 0.7478 0.7447
Li 0.7548 0.4970 0.0036
Li 0.4969 0.9942 0.4941
Li 0.3729 0.7501 0.2558
Li 0.8771 0.7465 0.7429
Mn 0.5050 0.9953 0.0012
Mn 0.0085 0.9951 0.0004
Co 0.7368 0.5091 0.4982
Co 0.1254 0.2511 0.7484
Co 0.2466 0.5039 0.5000
Co 0.8758 0.7474 0.2507
Co 0.6282 0.2510 0.7468

***

# 2
Crystalline Sr2La2MnCuO8 at its relaxed geometry, computed with PBE+U.

## Properties
formation energy	-2.832	eV/atom
offset from the most stable computed form	0.029	eV/atom
E_tot	-197.15	eV/cell

a = 5.4603 Å, b = 5.4603 Å, c = 13.4308 Å
α = 78.27°, β = 78.27°, γ = 90.00°
Positions (direct):
Sr 0.3214 0.3216 0.3567
Sr 0.1784 0.1786 0.6432
Sr 0.8214 0.8216 0.3568
Sr 0.6784 0.6786 0.6433
O 0.0001 0.9999 0.5000
O 0.9999 0.5001 0.5000
O 0.4999 0.0001 0.5000
O 0.0794 0.0796 0.8409
O 0.7502 0.7502 0.0000
O 0.6578 0.1573 0.6856
O 0.5001 0.4999 0.5000
O 0.9204 0.9206 0.1591
O 0.8428 0.3422 0.3144
O 0.3428 0.8422 0.3144
O 0.1578 0.6572 0.6856
O 0.7502 0.2498 0.0000
O 0.2498 0.7502 0.0000
O 0.2498 0.2498 0.0000
O 0.4204 0.4205 0.1592
O 0.5795 0.5796 0.8408
Mn 0.2500 0.7500 0.5000
Mn 0.7499 0.2501 0.5000
Cu 0.4999 0.5001 0.0000
Cu 0.0000 0.0000 0.0000
La 0.5700 0.0701 0.8597
La 0.4299 0.9300 0.1403
La 0.0700 0.5701 0.8597
La 0.9299 0.4300 0.1403

***

# 3
Crystalline KLi4FeO5 at its relaxed geometry, computed with PBE+U.

## Properties
SG	P-1 (2)
formation energy	-1.779	eV/atom
E_tot	-111.66	eV/cell

a = 5.6815 Å, b = 5.8417 Å, c = 8.0480 Å
α = 89.10°, β = 101.15°, γ = 118.45°
Positions (direct):
O 0.2174 0.2280 0.9740
O 0.4877 0.8329 0.7209
O 0.2603 0.7582 0.0544
O 0.0294 0.1476 0.2840
O 0.9706 0.8524 0.7160
O 0.5123 0.1671 0.2791
O 0.0470 0.6850 0.3410
O 0.9530 0.3150 0.6590
O 0.7397 0.2418 0.9456
O 0.7826 0.7720 0.0260
Li 0.6592 0.9959 0.1215
Li 0.1167 0.6827 0.6021
Li 0.0935 0.4036 0.1177
Li 0.9065 0.5964 0.8823
Li 0.3842 0.5932 0.8981
Li 0.8833 0.3173 0.3979
Li 0.3408 0.0041 0.8785
Li 0.6158 0.4068 0.1019
K 0.3871 0.2329 0.5798
K 0.6129 0.7671 0.4202
Fe 0.1418 0.9421 0.1824
Fe 0.8582 0.0579 0.8176

***

# 4
Crystalline V3Cr2Sb3O16 at its relaxed geometry, computed with PBE+U.

## Properties
SG	Cm (8)
formation energy	-2.127	eV/atom
E_tot	-169.07	eV/cell

a = 6.1198 Å, b = 6.1198 Å, c = 9.1147 Å
└──

Day 12
Woman Appreciation Wednesday
PM 3 Female Litsters who you appreciate! Just like Monday, only with tits!
This isn't woman crush Wednesday, it's appreciation Wednesday! Reach out to those ladies who make you smile, spice up your life, support you and add a little mischief to your life.

Day 13
Today is the BIG DAY!
PM (at least) 1 of your favorite moderators on any board and just give them a big thank you!
Sure they'll log in and think something unspeakable has happened but then they'll get the warm fuzzies knowing how grateful we are for their pro bono labor.

Day 14
This one may not apply to everyone but it's an important one.
Today PM any Litster that you need to and clear the air, make amends, apologize, ask "are we good?". It may be a big misunderstanding or a small gut feeling but I believe in everyone here to work towards diplomacy and peace. Remember though, no one owes you anything and all you can do it all you can do. I'm proud of you for trying.
If you have a clean conscience and no sins to confess or redemption to seek, PM someone doing the challenge and posting in the thread and say hello! Bring sage. You never know who needs and exorcism.